Post by alec on Nov 16, 2015 17:58:55 GMT
Well, dropped Ekrueger a lot especially at the weekends team Tourny and have a rough idea on evolving the list for him. It'll still be a work in progress for a while but definitely getting the hang of him. Next pledge is paint the second stalker up. For extra a redo on ghetorix really ended up thinking the colours just weren't right also druids and druid solos/single druids in units. Full write up on the EKrueger stuff when I'm in less pain:(
Post by alec on Dec 5, 2015 20:32:37 GMT
Ok, forgot I hadn't put pics of the first Stalker up. Good news is I'll get that done in a bit or tomorrow, but here is the second stalker to tabletop level! A few bits and a little more highlighting needing doing on him. On the Krueger write up from spamming him in play here is the brief round up. After PKrueger supporting his army a bit, and having a little to do with protection V shooting and an amazing pretty much snipe infantry feat I wasn't sure when I started spamming EKrueger how I'd like him. Still find PKrueger a blast to play but slowly getting the hang of EKrueger. The shift towards more heavy hitting and using Ghetorix with him was quite fun too. A MAT7 high P&S warbeast with reach is always fun. EKrueger himself has a lot of movement tricks and the druids go really well with him. Being able to TK stuff out the way for charges, get an extra up to 4" threat by TKing the charger and the charged model (also turning it around in the process) is nifty too. Hell even just turning stuff around for back strike bonuses, really helps stalkers MAT6, or so they cannot counter charge (ol' Rowdy) or to avoid free strikes is well worth it. The gem though has been Storm Wall. -5" to enemy ranged weapons/spells if they shoot from within his control area of 14" AND I can choose which direction stuff scatters? Hell yes! Been pretty much a spell which is auto cast. Now Storm wall initially I found a bit ridiculous. After all it's 3 fury from his 7 to cast and cannot be upkept. Each turn it needs 3 fury spent on it if you want it. At first maybe looked really annoying but there was a small blessing in it not being an upkeep. Purification and certain other effects won;t work on it Pulls the teeth nicely there! His feat as well has been great. It's a very multi purpose one and can be used for either scenario control piints grab, defensively to stop charges, or aggressively to alpha strike twice with no retaliation with a lot of sprinting going on from the beasts and reform on bloodtrackers. Interestingly the effects are all separate parts, so models are pushed, models affected by the feat ie: ANYTHING in the control area lose 2SPD even if they are not pushed So yeah colossals and stuff immune to pushing are taking that speed hit and not charging next turn! A round up on him for me would be that I enjoy playing EKrueger too, though am still experimenting with a list for him to see what works to compliment the PKrueger list currently I think I got my weeks muddled up again, migraines and my backs been hellish of late but my next pledge is continue my tweaking of the lists and continue trying the current fun of Una and rotterhorn or two combo
Post by alec on Dec 6, 2015 16:56:49 GMT
Post by tkaic on Dec 8, 2015 7:04:57 GMT
Yep, Cygnar do not like Storm Wall, as opposed to loving the Stormwall. That spell alone broke my army, even with a range boost from Snipe my shooting was at the same range as Krueger's control range. Having to sit within charge range to fire POW10s ain't fun.
And turning Ol Rowdy to face the wrong way was just mean :-)
• Someone pasted materials data at this point:
Material: CaLa2Ti2Mn2O12
Method: DFT, GGA+U
State: optimized geometry

## Properties
Total DFT energy (no corrections): -8.03 eV per atom
MP2020-corrected energy: -8.64 eV/atom
Energy relative to the elements: -3.09 eV per atom

a = 5.4245 Å, b = 9.4491 Å, c = 9.4294 Å
α = 70.32°, β = 89.78°, γ = 90.31°
Element x y z (fractional)
1 O 0.7119 0.3512 0.6321
2 O 0.7120 0.8512 0.1321
3 O 0.4502 0.8770 0.8759
4 O 0.7159 0.6139 0.9023
5 O 0.7159 0.1139 0.4023
6 O 0.2847 0.6559 0.3762
7 O 0.0533 0.1302 0.6169
8 O 0.5574 0.1208 0.1246
9 O 0.9416 0.3724 0.8822
10 O 0.0533 0.6302 0.1169
11 O 0.5574 0.6208 0.6246
12 O 0.2282 0.6139 0.8454
13 O 0.2757 0.8758 0.5914
14 O 0.2846 0.1559 0.8762
15 O 0.2333 0.4061 0.6330
16 O 0.7683 0.1029 0.8724
17 O 0.7704 0.3783 0.1459
18 O 0.2282 0.1139 0.3454
19 O 0.7683 0.6029 0.3724
20 O 0.4502 0.3770 0.3759
21 O 0.2333 0.9061 0.1330
22 O 0.2757 0.3758 0.0914
23 O 0.9416 0.8724 0.3822
24 O 0.7704 0.8783 0.6459
25 Ti 0.5046 0.2566 0.2583
26 Ti 0.0003 0.7479 0.2391
27 Ti 0.0003 0.2479 0.7391
28 Ti 0.5046 0.7566 0.7583
29 Ca 0.4988 0.3899 0.8607
30 Ca 0.4987 0.8899 0.3607
31 Mn 0.5020 0.0014 0.9992
32 Mn 0.5020 0.5014 0.4992
33 Mn 0.0012 0.0011 0.4976
34 Mn 0.0012 0.5011 0.9976
35 La 0.5065 0.6153 0.1352
36 La 0.0058 0.6378 0.6119
37 La 0.0058 0.1378 0.1120
38 La 0.5065 0.1153 0.6352

Material: Ca9LaTi8Mn2O30
Method: DFT, GGA+U
State: optimized geometry

## Properties
Total DFT energy (no corrections): -7.97 eV per atom
MP2020-corrected energy: -8.45 eV/atom
Energy relative to the elements: -3.39 eV per atom
SG: P1 (1)
Crystal system: triclinic

a = 5.4318 Å, b = 5.5064 Å, c = 38.5785 Å
α = 89.95°, β = 89.99°, γ = 89.92°
Element x y z (fractional)
1 Ti 0.5011 0.9998 0.1999
2 Ti 0.5078 0.0000 0.9993
3 Ti 0.9987 0.4986 0.9018
4 Ti 0.4968 0.9997 0.0995
5 Ti 0.0073 0.4988 0.0008
6 Ti 0.9975 0.5003 0.1003
7 Ti 0.0014 0.4987 0.7000
8 Ti 0.9993 0.4989 0.3986
9 Ti 0.0080 0.4993 0.2999
10 Ti 0.5058 0.0010 0.3001
11 Ti 0.0003 0.4995 0.2000
12 Ti 0.9992 0.4989 0.7987
13 Ti 0.5045 0.0000 0.7006
14 Ti 0.4983 0.9989 0.4982
15 Ti 0.0002 0.4995 0.4981
16 Ti 0.9978 0.5010 0.6018
17 O 0.2845 0.7151 0.1914
18 O 0.4182 0.9803 0.2503
19 O 0.2855 0.7146 0.9081
20 O 0.2114 0.2152 0.7087
21 O 0.2121 0.2147 0.3088
22 O 0.7187 0.2838 0.4085
23 O 0.2169 0.2175 0.5087
24 O 0.2808 0.7198 0.5077
25 O 0.7814 0.7830 0.8086
26 O 0.0650 0.4846 0.8499
27 O 0.7813 0.7820 0.8913
28 O 0.0795 0.4798 0.4503
29 O 0.2145 0.2152 0.1087
30 O 0.2103 0.2156 0.9913
31 O 0.7120 0.2868 0.0087
32 O 0.7864 0.7837 0.6910
33 O 0.4208 0.9905 0.8509
34 O 0.7147 0.2888 0.6083
35 O 0.0815 0.4787 0.6502
36 O 0.2775 0.7177 0.5922
37 O 0.7144 0.2853 0.2088
38 O 0.7155 0.2852 0.0913
39 O 0.7144 0.2881 0.6913
40 O 0.7127 0.2837 0.2917
41 O 0.7851 0.7816 0.4087
42 O 0.2138 0.2155 0.1914
43 O 0.5837 0.0191 0.9514
44 O 0.7818 0.7795 0.6086
45 O 0.0811 0.4807 0.2501
46 O 0.7198 0.2812 0.8925
47 O 0.7852 0.7849 0.2088
48 O 0.7840 0.7849 0.0090
49 O 0.9178 0.5194 0.1500
Post by alec on Dec 8, 2015 19:52:07 GMT
Hehe yes I liked that one Wasn't even to hit him! Cygnar still are able to extend some stuff to be outside the stormwall though so maybe look to see if they could go into one of the two lists if you reckoned there'd a good chance you'd matchup to K2?
Post by alec on Dec 20, 2015 17:47:26 GMT
With all the excitement of getting ready to do the Foodmachine event and planning some stuff for next year forgot it was this week to get stuff sorted for this. With it being the final fortnight of the year thought I'd go with get another caster painted. Even if it's meant to be a gaming pledge I can't see many games happening next fortnight really with the crazy xmasy stuff and sales etc. I'll certainly be attempting to hibernate away from peoples. Foodmachine tournament was fun! Though the timing being so close to xmas scuppered numbers who could show it was a really fun easygoing day and due to only 4 players I got to stick a bit of a narrative on the event as matches unfolded as anyone who is in the dark sphere facebook group will have seen . Load of donations too, two more lots (mine and the helper who's helping get it to the foodbank Tuesday) to come before the final count. DS were fantastic hosting the event and also donating a lot too! If I'm forced (though think Tom's given up policing the pledges!) to do a gaming type pledge does outlining the skeleton of next years planned events count? I put a lot of thought into it after all
Post by alec on Dec 22, 2015 9:08:59 GMT
May push the boat out here and say get some blackclad types done instead of a caster. So druids, the druid UA, UA for stones, druids with the woldshrimp and blackclads, aiming for roughly a half dozen minis done.
Tending towards slow grow Circle again at Cross as hitting my head off the Cryx Paintscheme and basing quite hard and it'd let me get the Circle stuff actually painted up completely. Well, a list at least! Maybe.
Post by alec on Jan 8, 2016 18:30:38 GMT
So the slow updates. These are all down to the stripping and repainting part. Been attempting to get something painted however each time I attempt it, it fails miserably. Was aiming to have the druids cloaks as offwhite (P3 frostbite, akin to GW space wolf grey) and shaded with blues added to get the darker colour. Years ago I started the layering thing as I realised base, shade, highlight I sucked at ad pulled it off rather well. Finally found something which worked for me, however layering up really seems to leave the cloaks just too blue.
Cutting my losses going with the traditional blacks on the cloak to keep it as close to the undercoat for now, will get em done just so it's more stuff painted up and practice more on other stuff on ad off till I get get it where I want it.
The good things to come out of this however are pluses. 1 The Gorax is almost done, though thought he'd end up stripped so didn't greenstuff gaps! Doh! Also if I had foreseen how he'd have ended up I'd have found horns from somewhere for him, made it a wendigo inspired gorax!
2 May have cracked a nice scheme for legion skin akin to the studio scheme. If I'm honest the cold feel from it really does scream everblight to me, even if I think a warm and striking scheme would work well too, they're dragonspawn after all!
3 My Patience at not having a tabletop standard army is pretty much used up. This should encourage me to paint more.
4 I tried to get the hang of two brush blending. Didn't work great, but think I'll keep PKrueger who I'm shelving for now as happy I've mostly learned him around as a test model to keep trying on. That cloak makes for a good subject for the technique, might encourage me to go back and try to shade stuff instead of start with a shade ad work up.
Will get some Gorax pics over the weekend hopefully he will be done by then and will be the first slow grow model painted! Still to try to decide on a caster for that, edging towards one of the Morvhanas to start learning those.
Post by alec on Feb 4, 2016 17:49:18 GMT
Ok, so really late update. It has been said I painted an stripped more models in December and early January than a friend painted the entirety of 2015. It was true. I had painted pKrueger however ended stripping him a few times as the colours just weren't right. So sort of painted a caster model. Still working on the colour and druidic colours test schemes. Went through almost a full pot of frostbite just trying to get it right! Anyway got sick of stripping druids Soooo yeah done a gorax quick to try to get the off white done. Between the regualr pain, migraines and ill most of Jan wasn't spent painting as I had hoped! However here's one of the old WiP pics that gives a rough idea of the gorax I used as a test piece for the off white colour. It's not quite right but it did give me an idea to convert a second one up. Will leave the gorax as is as at least there's paint on it till the second one is done. EKromac will like the second one after all
Post by alec on Feb 4, 2016 17:51:47 GMT
And for a change to using the normal druids to test the off white colour I was hoping to do for the cloaks with the winter theme I've used the Stoneward models. They're still very WiP too, but gives you an idea of the two looks I'm debating between. Amusingly both are as quick as the other!